(Wanted)
Next, give back everything further below with every line break kept.

(Listing)
The following is a quantum chemistry calculation of a cluster of 10 separate species, C45H109NO19 in total at a distorted geometry, from the OMol25 dataset.

The geometry in XYZ format:
```
174
Properties=species:S:1:pos:R:3:forces:R:3:mulliken_charge:R:1
C 1.831433 -0.634095 1.039889 -1.74 0.13 1.10 1.1127
O 1.729348 0.671990 0.547630 -0.54 1.87 -1.37 -0.2840
C 0.903699 0.916467 -0.607924 -0.48 -2.17 -0.40 0.1994
C -0.575404 0.394367 -0.635385 0.39 1.00 2.89 0.4913
O -1.219557 0.916396 0.563405 0.14 0.28 -1.42 1.3972
C -2.371368 0.164211 0.852295 -0.01 -0.89 0.97 -0.6381
H 2.145444 -0.490157 2.073708 0.82 -0.33 -0.14 -0.2192
H 2.383931 -1.376794 0.464342 0.35 0.26 -0.16 -0.3992
H 0.815243 -0.985261 1.219168 -0.18 -0.54 -0.36 -0.8399
H 1.348819 0.330878 -1.412325 0.32 -0.01 -0.62 0.0723
H 0.903235 1.949657 -0.955249 0.30 0.14 0.92 0.0009
H -0.677591 -0.687217 -0.546913 0.42 -0.18 -0.44 -0.4558
H -1.125582 0.758816 -1.502908 0.13 -0.04 -0.36 -0.4076
H -2.996579 -0.117174 0.004932 0.00 0.39 -0.40 0.0497
H -2.981569 0.640705 1.619571 0.08 0.42 -0.20 -0.0217
H -2.046955 -0.765745 1.319246 -0.10 -0.36 0.00 0.0547
C -2.422579 -0.054368 -4.283505 -1.02 0.11 0.77 -0.2270
O -3.544715 0.161111 -3.454022 0.26 0.66 1.79 0.0767
C -4.389415 -0.961729 -3.269004 -0.80 0.15 -0.83 -0.6610
C -5.532371 -0.710995 -2.272326 -0.13 -0.37 0.04 -0.6055
O -6.441024 -1.822122 -2.341764 1.58 0.05 -0.48 -0.3266
C -7.766434 -1.439845 -2.295966 -1.02 0.32 -0.23 -0.7963
H -1.901928 0.902030 -4.331570 -0.16 -0.04 -0.33 -0.2905
H -2.846910 -0.365499 -5.238094 0.81 -0.26 -0.41 0.4798
H -1.754734 -0.758495 -3.787232 0.16 -0.44 -0.46 0.0087
H -3.892461 -1.908197 -3.056091 0.37 0.15 0.06 0.3087
H -4.862030 -1.022960 -4.249301 -0.47 -0.83 -0.09 0.4177
H -5.997063 0.236486 -2.545176 -0.30 0.03 -0.11 0.5955
H -5.288299 -0.651546 -1.211668 0.76 0.25 0.01 0.2489
H -8.080450 -0.994481 -3.239974 -0.06 0.22 -0.21 0.3173
H -7.936263 -0.703426 -1.510498 -0.22 -0.03 0.25 0.3317
H -8.394944 -2.318468 -2.150728 0.15 -0.01 0.22 0.2515
C 4.668540 0.594744 3.480396 -0.55 -0.53 0.18 -0.7627
O 3.540860 0.535246 4.323827 -0.45 0.47 0.72 0.1131
C 3.781833 0.372075 5.706591 -0.73 0.14 1.16 -0.5230
C 2.471698 0.725481 6.517111 -0.25 -1.95 -1.04 0.1470
O 2.483300 0.451780 7.903557 1.32 0.35 0.62 -0.4662
C 2.464238 -0.920876 8.328500 -0.69 0.39 -0.21 -0.6203
H 5.207611 -0.352592 3.487317 0.14 -0.24 -0.06 0.3413
H 5.376388 1.371218 3.770464 -0.10 0.31 -0.15 0.3795
H 4.197498 0.728020 2.506510 0.64 0.28 -0.23 -0.0237
H 4.568158 1.000369 6.124944 0.36 0.31 -0.42 0.3250
H 4.079531 -0.659110 5.896671 0.00 -0.25 0.14 0.2149
H 1.673968 0.088091 6.135721 -0.18 0.08 -0.66 0.1096
H 2.163506 1.748563 6.301622 0.24 0.09 0.49 0.0647
H 2.894029 -1.623339 7.614411 0.02 0.13 -0.16 0.2356
H 1.429318 -1.192177 8.536912 -0.22 -0.19 -0.34 0.2576
H 2.956649 -1.067133 9.289871 0.41 0.54 -0.15 0.2667
C -3.617728 2.924399 -1.135097 -0.17 1.28 0.41 0.2036
O -4.258375 3.923483 -1.915822 -0.78 -1.46 -0.77 -0.5319
C -4.362308 3.512884 -3.298839 -0.38 2.01 0.58 0.7962
C -5.359109 4.499438 -3.958361 0.04 -0.62 -1.06 -0.9956
O -6.713983 4.149748 -3.817194 0.15 -1.30 1.46 -0.2713
C -7.635212 5.056034 -4.362136 0.79 -0.05 0.03 -0.7467
H -2.548567 3.121234 -1.214189 0.45 -0.67 -0.06 -0.0158
H -3.916283 1.905523 -1.381814 0.16 0.00 -0.16 0.0691
H -3.887944 3.155929 -0.104819 -0.02 -0.23 0.01 -0.0181
H -4.544892 2.453503 -3.479092 -0.53 -0.01 0.39 -0.0292
H -3.368002 3.704435 -3.702274 0.23 0.11 -0.61 -0.2867
H -5.209324 4.516964 -5.037884 0.62 -0.10 -0.42 0.4057
H -5.142206 5.519945 -3.642719 -0.06 0.11 0.54 0.4023
H -7.448380 6.014053 -3.876948 -0.40 0.41 -0.30 0.3130
H -8.649540 4.703996 -4.174264 0.19 -0.01 0.12 0.2129
H -7.454598 5.084011 -5.436708 -0.23 0.48 -0.28 0.3125
C 1.539869 -4.803818 -0.159399 0.90 1.35 0.08 -0.4960
O 2.485900 -4.738804 0.880009 -0.78 -1.72 1.71 0.0266
C 2.204878 -5.840529 1.807042 1.00 1.57 0.05 -0.5206
C 3.162345 -5.710662 2.982564 0.49 -0.15 -0.46 -0.6647

(Result)
The following is a quantum chemistry calculation of a cluster of 10 separate species, C45H109NO19 in total at a distorted geometry, from the OMol25 dataset.

The geometry in XYZ format:
```
174
Properties=species:S:1:pos:R:3:forces:R:3:mulliken_charge:R:1
C 1.831433 -0.634095 1.039889 -1.74 0.13 1.10 1.1127
O 1.729348 0.671990 0.547630 -0.54 1.87 -1.37 -0.2840
C 0.903699 0.916467 -0.607924 -0.48 -2.17 -0.40 0.1994
C -0.575404 0.394367 -0.635385 0.39 1.00 2.89 0.4913
O -1.219557 0.916396 0.563405 0.14 0.28 -1.42 1.3972
C -2.371368 0.164211 0.852295 -0.01 -0.89 0.97 -0.6381
H 2.145444 -0.490157 2.073708 0.82 -0.33 -0.14 -0.2192
H 2.383931 -1.376794 0.464342 0.35 0.26 -0.16 -0.3992
H 0.815243 -0.985261 1.219168 -0.18 -0.54 -0.36 -0.8399
H 1.348819 0.330878 -1.412325 0.32 -0.01 -0.62 0.0723
H 0.903235 1.949657 -0.955249 0.30 0.14 0.92 0.0009
H -0.677591 -0.687217 -0.546913 0.42 -0.18 -0.44 -0.4558
H -1.125582 0.758816 -1.502908 0.13 -0.04 -0.36 -0.4076
H -2.996579 -0.117174 0.004932 0.00 0.39 -0.40 0.0497
H -2.981569 0.640705 1.619571 0.08 0.42 -0.20 -0.0217
H -2.046955 -0.765745 1.319246 -0.10 -0.36 0.00 0.0547
C -2.422579 -0.054368 -4.283505 -1.02 0.11 0.77 -0.2270
O -3.544715 0.161111 -3.454022 0.26 0.66 1.79 0.0767
C -4.389415 -0.961729 -3.269004 -0.80 0.15 -0.83 -0.6610
C -5.532371 -0.710995 -2.272326 -0.13 -0.37 0.04 -0.6055
O -6.441024 -1.822122 -2.341764 1.58 0.05 -0.48 -0.3266
C -7.766434 -1.439845 -2.295966 -1.02 0.32 -0.23 -0.7963
H -1.901928 0.902030 -4.331570 -0.16 -0.04 -0.33 -0.2905
H -2.846910 -0.365499 -5.238094 0.81 -0.26 -0.41 0.4798
H -1.754734 -0.758495 -3.787232 0.16 -0.44 -0.46 0.0087
H -3.892461 -1.908197 -3.056091 0.37 0.15 0.06 0.3087
H -4.862030 -1.022960 -4.249301 -0.47 -0.83 -0.09 0.4177
H -5.997063 0.236486 -2.545176 -0.30 0.03 -0.11 0.5955
H -5.288299 -0.651546 -1.211668 0.76 0.25 0.01 0.2489
H -8.080450 -0.994481 -3.239974 -0.06 0.22 -0.21 0.3173
H -7.936263 -0.703426 -1.510498 -0.22 -0.03 0.25 0.3317
H -8.394944 -2.318468 -2.150728 0.15 -0.01 0.22 0.2515
C 4.668540 0.594744 3.480396 -0.55 -0.53 0.18 -0.7627
O 3.540860 0.535246 4.323827 -0.45 0.47 0.72 0.1131
C 3.781833 0.372075 5.706591 -0.73 0.14 1.16 -0.5230
C 2.471698 0.725481 6.517111 -0.25 -1.95 -1.04 0.1470
O 2.483300 0.451780 7.903557 1.32 0.35 0.62 -0.4662
C 2.464238 -0.920876 8.328500 -0.69 0.39 -0.21 -0.6203
H 5.207611 -0.352592 3.487317 0.14 -0.24 -0.06 0.3413
H 5.376388 1.371218 3.770464 -0.10 0.31 -0.15 0.3795
H 4.197498 0.728020 2.506510 0.64 0.28 -0.23 -0.0237
H 4.568158 1.000369 6.124944 0.36 0.31 -0.42 0.3250
H 4.079531 -0.659110 5.896671 0.00 -0.25 0.14 0.2149
H 1.673968 0.088091 6.135721 -0.18 0.08 -0.66 0.1096
H 2.163506 1.748563 6.301622 0.24 0.09 0.49 0.0647
H 2.894029 -1.623339 7.614411 0.02 0.13 -0.16 0.2356
H 1.429318 -1.192177 8.536912 -0.22 -0.19 -0.34 0.2576
H 2.956649 -1.067133 9.289871 0.41 0.54 -0.15 0.2667
C -3.617728 2.924399 -1.135097 -0.17 1.28 0.41 0.2036
O -4.258375 3.923483 -1.915822 -0.78 -1.46 -0.77 -0.5319
C -4.362308 3.512884 -3.298839 -0.38 2.01 0.58 0.7962
C -5.359109 4.499438 -3.958361 0.04 -0.62 -1.06 -0.9956
O -6.713983 4.149748 -3.817194 0.15 -1.30 1.46 -0.2713
C -7.635212 5.056034 -4.362136 0.79 -0.05 0.03 -0.7467
H -2.548567 3.121234 -1.214189 0.45 -0.67 -0.06 -0.0158
H -3.916283 1.905523 -1.381814 0.16 0.00 -0.16 0.0691
H -3.887944 3.155929 -0.104819 -0.02 -0.23 0.01 -0.0181
H -4.544892 2.453503 -3.479092 -0.53 -0.01 0.39 -0.0292
H -3.368002 3.704435 -3.702274 0.23 0.11 -0.61 -0.2867
H -5.209324 4.516964 -5.037884 0.62 -0.10 -0.42 0.4057
H -5.142206 5.519945 -3.642719 -0.06 0.11 0.54 0.4023
H -7.448380 6.014053 -3.876948 -0.40 0.41 -0.30 0.3130
H -8.649540 4.703996 -4.174264 0.19 -0.01 0.12 0.2129
H -7.454598 5.084011 -5.436708 -0.23 0.48 -0.28 0.3125
C 1.539869 -4.803818 -0.159399 0.90 1.35 0.08 -0.4960
O 2.485900 -4.738804 0.880009 -0.78 -1.72 1.71 0.0266
C 2.204878 -5.840529 1.807042 1.00 1.57 0.05 -0.5206
C 3.162345 -5.710662 2.982564 0.49 -0.15 -0.46 -0.6647